USDA: Adult Obesity Increased During Pandemic

Dan This Land of Ours

An additional effect on our health from the pandemic. That’s today’s This Land of Ours. USDA’s Economic Research Service reports behavior changes during the pandemic exacerbated an already existing adult obesity epidemic. As the COVID-19 pandemic unfolded in 2020, studies using limited online surveys found evidence of weight gain among U.S. adults. However, because the pandemic surveys did not represent …

Farm Dog of the Year Nominations Closing Soon

Dan This Land of Ours

Nominations are closing soon, for a farm bureau honor for your four-legged friends. That’s today’s This Land of Ours. If you haven’t nominated your pup for the Farm Dog of the Year, now’s the time. Nominations close on July 15. Farm Dog of the Year is an annual competition held by the American Farm Bureau Federation and supported by Purina. …

NMPF: Prioritize Food Access at Hunger Conference

Dan Dairy, This Land of Ours

Prioritizing a discussion on food access. That’s coming up on This Land of Ours. The National Milk Producers Federation (NMPF) recently led eleven national agriculture, anti-hunger, nutrition, and medical groups in a virtual listening session with the White House on food access. The White House is holding its Conference on Hunger, Nutrition, and Health in September, and the groups want …

USDA-Cost of a Home-Grilled Cheeseburger up from 2021

Dan Beef, Economy, This Land of Ours, USDA-ERS

Grilling season is underway, and the cost of the homemade cheeseburger is going up. That’s today’s This Land of Ours. Home-grilled cheeseburgers, a summer cookout staple, will cost consumers more this summer. USDA’s Economic Research Service says the ingredients for a home-prepared 1/4-pound cheeseburger totaled $2.07 per burger, with ground beef making up the largest cost at $1.20. This represents …

Global Appetite for Pork

Dan Exports/Imports, Pork, This Land of Ours

Increasing the global taste for pork. That’s today’s This Land of Ours. There’s a global appetite for U.S. pork, so National Pork Board uses Pork Checkoff funds to advance international product promotion along with the U.S. Meat Export Federation. The Pork Board’s Vice President of International Market Development Courtney Knupp says the strategy is two-fold. “First to differentiate U.S. pork …

Brewer’s Yeast to Cut Methane

Dan Beef, Cattle, Dairy, Environment, Greenhouse Gas, Livestock, This Land of Ours

A good use for leftover brewer’s yeast. That’s coming up on This Land of Ours. Brewer’s yeast used to make beer is typically discarded once it’s no longer needed. Sometimes, though, the leftover yeast is mixed into livestock feed as a source of protein and vitamins. Now, there may be even more reason to continue this practice, according to findings …

Forcing Compliance on Trade Policies

Dan Regulation, This Land of Ours, Trade

Making Canada Stick to Dairy Trade Policies. That’s coming up on This Land of Ours. Last month, the U.S. Trade Representative’s office initiated the second U.S.-Mexico-Canada Agreement dispute regarding Canadian dairy tariff-rate quota policies. The U.S. is requesting dispute settlement consultations regarding Canada’s dairy tariff-rate quota, or TRQ allocation measures. The TRQs deny allocation access to eligible applicants, including retailers, …

Keep Kids Fed Act Passed in Both Chambers of Congress

Dan Education, Legislative, Regulation, This Land of Ours

A bill to help keep kids fed moves forward. That’s coming up on This Land of Ours. The House and Senate each passed the Keep Kids Fed Act this month, but the bill had to return to the House because the Senate version was slightly different. The Hagstrom Report says the House passed the Senate’s version of the bill that …

Rep. Thompson on Priorities for Agriculture, Climate

Dan Agri-Business, Climate Change, Legislative, This Land of Ours

Priorities for agriculture and the climate. That’s coming up on This Land of Ours. The House Agriculture Committee recently discussed The Role of Climate Research in Agricultural Resiliency.” Ranking Member, Representative Glenn G.T. Thompson gave his four guiding principles on the matter. “Climate policies need to benefit producers, our farmers, our ranchers, and foresters primarily. Whatever we do when it …

Representative David Scott on Climate and Agriculture

Dan Climate Change, Environment, This Land of Ours

== Crystal structures from another source follow ==
# 1
A crystal of Ta4TcIr relaxed with PBEsol. Source: the Alexandria database, functional meta-GGA SCAN.

```
Ta4TcIr
1.0
5.236 0.000 0.000
2.618 4.534 0.000
2.618 1.511 4.275
Ir Ta Tc
1 4 1
Cartesian
0.000 0.000 0.000
5.236 3.023 0.541
3.932 3.775 2.670
5.236 1.518 2.670
6.539 3.775 2.670
2.618 1.511 1.069
```

Values from the calculation:
formation enthalpy at 0 K	1.76	eV per formula unit
spin magnetization	1.20	μB per formula unit
symmetry	No. 216


# 2
A crystal of TaTcIr relaxed with PBEsol. Source: the Alexandria database, functional meta-GGA SCAN.

```
TaTcIr
1.0
2.741 0.000 0.000
0.000 2.741 0.000
-1.370 -1.370 6.076
Ir Ta Tc
1 1 1
Cartesian
1.370 1.370 5.966
1.370 1.370 2.000
0.000 0.000 4.186
```

Values from the calculation:
formation enthalpy at 0 K	-1.11	eV per formula unit
spin magnetization	0.00	μB per formula unit
symmetry	No. 107


# 3
A crystal of Ta2TlTcIr relaxed with PBEsol. Source: the Alexandria database, functional meta-GGA SCAN.

```
Ta2TlTcIr
1.0
-2.091 4.257 -0.002
-4.203 -2.064 1.508
1.353 0.666 4.682
Tl Ir Tc Ta
1 1 1 2
Cartesian
0.000 0.000 0.000
-1.046 2.129 -0.001
-2.471 1.430 3.094
0.676 0.333 2.341
-2.101 -1.032 0.754
```

Values from the calculation:
formation enthalpy at 0 K	13.41	eV per formula unit
spin magnetization	1.76	μB per formula unit
symmetry	No. 123


# 4
A crystal of TaTlTc2Ir relaxed with PBEsol. Source: the Alexandria database, functional meta-GGA SCAN.

```
TaTlTc2Ir
1.0
-1.387 -2.503 -3.744
-3.175 -2.277 2.699
-3.242 3.317 -1.016
Tl Ir Tc Ta
1 1 2 1
Cartesian
0.000 0.000 0.000
-0.694 -1.252 -1.872
-1.621 1.658 -0.508
-1.588 -1.138 1.349
-3.902 -0.732 -1.031
```

Values from the calculation:
formation enthalpy at 0 K	13.20	eV per formula unit
spin magnetization	2.54	μB per formula unit
symmetry	No. 123


# 5
A crystal of TaTe2Ir relaxed with PBEsol. Source: the Alexandria database, functional meta-GGA SCAN.

```
TaTe2Ir
1.0
4.820 0.000 0.000
2.410 4.174 0.000
2.410 1.391 3.936
Ir Ta Te
1 1 2
Cartesian
4.820 2.783 1.968
7.230 4.174 2.952
0.000 0.000 0.000
2.410 1.391 0.984
```

Values from the calculation:
spin magnetization	0.00	μB per formula unit
symmetry	No. 216
distance to the lowest polymorph of the same formula	859.0	meV per atom
raw formation energy	0.675	eV/atom


# 6
A crystal of TaTeIr2 relaxed with PBEsol. Source: the Alexandria database, functional meta-GGA SCAN.

```
TaTeIr2
1.0
3.046 0.000 0.000
0.000 3.848 0.000
0.000 0.000 5.731
Ir Ta Te
2 1 1
Cartesian
0.000 0.000 4.398
0.000 0.000 1.333
1.523 1.924 0.000
1.523 1.924 2.866
```

Values from the calculation:
spin magnetization	0.00	μB per formula unit
symmetry	No. 47
raw formation energy	-0.081	eV/atom


# 7
A crystal of TaTeIr2 relaxed with PBEsol. Source: the Alexandria database, functional meta-GGA SCAN.

```
TaTeIr2
1.0
-0.079 1.453 2.673
2.238 -3.572 2.008
4.054 1.650 -2.509
Ir Ta Te
2 1 1
Cartesian
0.170 0.053 -0.024
2.582 1.016 1.257
4.881 0.621 -0.193
3.712 -1.570 0.963
```

Values from the calculation:

The climate and agricultural resilience. That’s coming up on This Land of Ours. The House Agriculture Committee recently held a hearing titled “The Role of Climate Research in Agricultural Resiliency.” In his opening statement, Chairman Representative David Scott of Georgia gave his thoughts on the importance of the topic. “Climate change poses a threat to our farmers, ranchers, and foresters; …